**Wanted:**
Your job: give back the calculation results underneath character by character.
**Given:**
+++
VASP calculation (GGA-PBE) on a relaxed ZnPt2N crystal.

Density   11.274 g/cm3
Symmetry   I-42d, No. 122
DOS at the Fermi energy   0.257 states/eV/atom
Raw total energy   -39.9 eV/cell
Relative energy among the computed polymorphs   0.0000 eV/atom

Cell: 6.749 6.749 6.749 Å, 137.58 137.58 61.55°
Element x y z (fractional)
Zn: 0.000 0.000 0.000
Zn: 0.750 0.250 0.500
Pt: 0.240 0.625 0.115
Pt: 0.375 0.490 0.615
Pt: 0.510 0.125 0.885
Pt: 0.875 0.760 0.385
N: 0.250 0.750 0.500
N: 0.500 0.500 0.000

* * * * *

(1)
First-principles (PBE) data for Ba4PuTa3O12 after structural relaxation, as listed in Alexandria.

E_form (uncorrected) = -2875 meV/atom
Uncorrected energy = -8.73 eV per atom
SG = Im-3m

Geometry as CIF:
```
data_Ba4PuTa3O12
_symmetry_space_group_name_H-M 'P 1'
_symmetry_Int_Tables_number 1
_cell_length_a 7.312
_cell_length_b 7.312
_cell_length_c 7.312
_cell_angle_alpha 109.47
_cell_angle_beta 109.47
_cell_angle_gamma 109.47
loop_
_symmetry_equiv_pos_as_xyz
'x,y,z'
loop_
_atom_site_label
_atom_site_type_symbol
_atom_site_fract_x
_atom_site_fract_y
_atom_site_fract_z
Ba1 Ba 0.000 0.000 0.500
Ba2 Ba 0.000 0.500 0.000
Ba3 Ba 0.500 0.000 0.000
Ba4 Ba 0.500 0.500 0.500
Pu1 Pu 0.000 0.000 0.000
Ta1 Ta 0.000 0.500 0.500
Ta2 Ta 0.500 0.000 0.500
Ta3 Ta 0.500 0.500 0.000
O1 O 0.000 0.266 0.266
O2 O 0.000 0.734 0.734
O3 O 0.250 0.500 0.750
O4 O 0.250 0.750 0.500
O5 O 0.266 0.000 0.266
O6 O 0.266 0.266 0.000
O7 O 0.500 0.250 0.750
O8 O 0.500 0.750 0.250
O9 O 0.734 0.000 0.734
O10 O 0.734 0.734 0.000
O11 O 0.750 0.250 0.500
O12 O 0.750 0.500 0.250
```

***

(2)
First-principles (PBE) data for Ba3TbPu2O9 after structural relaxation, as listed in Alexandria.

E_form (uncorrected) = -3023 meV/atom
Uncorrected energy = -8.60 eV per atom
SG = P-3m1

Geometry as CIF:
```
data_Ba3TbPu2O9
_symmetry_space_group_name_H-M 'P 1'
_symmetry_Int_Tables_number 1
_cell_length_a 6.218
_cell_length_b 6.218
_cell_length_c 7.619
_cell_angle_alpha 90.00
_cell_angle_beta 90.00
_cell_angle_gamma 120.00
loop_
_symmetry_equiv_pos_as_xyz
'x,y,z'
loop_
_atom_site_label
_atom_site_type_symbol
_atom_site_fract_x
_atom_site_fract_y
_atom_site_fract_z
Ba1 Ba 0.000 0.000 0.000
Ba2 Ba 0.333 0.667 0.658
Ba3 Ba 0.667 0.333 0.342
Tb1 Tb 0.000 0.000 0.500
Pu1 Pu 0.333 0.667 0.165
Pu2 Pu 0.667 0.333 0.835
O1 O 0.000 0.500 0.000
O2 O 0.171 0.342 0.329
O3 O 0.171 0.829 0.329
O4 O 0.342 0.171 0.671
O5 O 0.500 0.000 0.000
O6 O 0.500 0.500 0.000
O7 O 0.658 0.829 0.329
O8 O 0.829 0.171 0.671
O9 O 0.829 0.658 0.671
```

***

(3)
First-principles (PBE) data for BaTbPuO6 after structural relaxation, as listed in Alexandria.

E_form (uncorrected) = -2867 meV/atom
Uncorrected energy = -8.49 eV per atom
SG = P-31c

Geometry as CIF:
```
data_BaTbPuO6
_symmetry_space_group_name_H-M 'P 1'
_symmetry_Int_Tables_number 1
_cell_length_a 5.863
_cell_length_b 5.863
_cell_length_c 11.037
_cell_angle_alpha 90.00
_cell_angle_beta 90.00
_cell_angle_gamma 120.00
loop_
_symmetry_equiv_pos_as_xyz
'x,y,z'
loop_
_atom_site_label
_atom_site_type_symbol
_atom_site_fract_x
_atom_site_fract_y
_atom_site_fract_z
Ba1 Ba 0.000 0.000 0.000
Ba2 Ba 0.000 0.000 0.500
Tb1 Tb 0.333 0.667 0.250
Tb2 Tb 0.667 0.333 0.750
Pu1 Pu 0.333 0.667 0.750
Pu2 Pu 0.667 0.333 0.250
O1 O 0.034 0.391 0.650
O2 O 0.034 0.642 0.850
O3 O 0.358 0.391 0.850
O4 O 0.358 0.966 0.650
O5 O 0.391 0.034 0.150
O6 O 0.391 0.358 0.350
O7 O 0.609 0.642 0.650
O8 O 0.609 0.966 0.850
O9 O 0.642 0.034 0.350
O10 O 0.642 0.609 0.150
O11 O 0.966 0.358 0.150
O12 O 0.966 0.609 0.350
```

***

(4)
First-principles (PBE) data for Ba4TbPu3O12 after structural relaxation, as listed in Alexandria.

E_form (uncorrected) = -3008 meV/atom
Uncorrected energy = -8.75 eV per atom
SG = Im-3m

Geometry as CIF:
```
data_Ba4TbPu3O12
_symmetry_space_group_name_H-M 'P 1'
_symmetry_Int_Tables_number 1
_cell_length_a 7.625
_cell_length_b 7.625
_cell_length_c 7.625
_cell_angle_alpha 109.47
_cell_angle_beta 109.47
_cell_angle_gamma 109.47
loop_
_symmetry_equiv_pos_as_xyz
+++
**Response:**
VASP calculation (GGA-PBE) on a relaxed ZnPt2N crystal.

Density   11.274 g/cm3
Symmetry   I-42d, No. 122
DOS at the Fermi energy   0.257 states/eV/atom
Raw total energy   -39.9 eV/cell
Relative energy among the computed polymorphs   0.0000 eV/atom

Cell: 6.749 6.749 6.749 Å, 137.58 137.58 61.55°
Element x y z (fractional)
Zn: 0.000 0.000 0.000
Zn: 0.750 0.250 0.500
Pt: 0.240 0.625 0.115
Pt: 0.375 0.490 0.615
Pt: 0.510 0.125 0.885
Pt: 0.875 0.760 0.385
N: 0.250 0.750 0.500
N: 0.500 0.500 0.000

* * * * *

(1)
First-principles (PBE) data for Ba4PuTa3O12 after structural relaxation, as listed in Alexandria.

E_form (uncorrected) = -2875 meV/atom
Uncorrected energy = -8.73 eV per atom
SG = Im-3m

Geometry as CIF:
```
data_Ba4PuTa3O12
_symmetry_space_group_name_H-M 'P 1'
_symmetry_Int_Tables_number 1
_cell_length_a 7.312
_cell_length_b 7.312
_cell_length_c 7.312
_cell_angle_alpha 109.47
_cell_angle_beta 109.47
_cell_angle_gamma 109.47
loop_
_symmetry_equiv_pos_as_xyz
'x,y,z'
loop_
_atom_site_label
_atom_site_type_symbol
_atom_site_fract_x
_atom_site_fract_y
_atom_site_fract_z
Ba1 Ba 0.000 0.000 0.500
Ba2 Ba 0.000 0.500 0.000
Ba3 Ba 0.500 0.000 0.000
Ba4 Ba 0.500 0.500 0.500
Pu1 Pu 0.000 0.000 0.000
Ta1 Ta 0.000 0.500 0.500
Ta2 Ta 0.500 0.000 0.500
Ta3 Ta 0.500 0.500 0.000
O1 O 0.000 0.266 0.266
O2 O 0.000 0.734 0.734
O3 O 0.250 0.500 0.750
O4 O 0.250 0.750 0.500
O5 O 0.266 0.000 0.266
O6 O 0.266 0.266 0.000
O7 O 0.500 0.250 0.750
O8 O 0.500 0.750 0.250
O9 O 0.734 0.000 0.734
O10 O 0.734 0.734 0.000
O11 O 0.750 0.250 0.500
O12 O 0.750 0.500 0.250
```

***

(2)
First-principles (PBE) data for Ba3TbPu2O9 after structural relaxation, as listed in Alexandria.

E_form (uncorrected) = -3023 meV/atom
Uncorrected energy = -8.60 eV per atom
SG = P-3m1

Geometry as CIF:
```
data_Ba3TbPu2O9
_symmetry_space_group_name_H-M 'P 1'
_symmetry_Int_Tables_number 1
_cell_length_a 6.218
_cell_length_b 6.218
_cell_length_c 7.619
_cell_angle_alpha 90.00
_cell_angle_beta 90.00
_cell_angle_gamma 120.00
loop_
_symmetry_equiv_pos_as_xyz
'x,y,z'
loop_
_atom_site_label
_atom_site_type_symbol
_atom_site_fract_x
_atom_site_fract_y
_atom_site_fract_z
Ba1 Ba 0.000 0.000 0.000
Ba2 Ba 0.333 0.667 0.658
Ba3 Ba 0.667 0.333 0.342
Tb1 Tb 0.000 0.000 0.500
Pu1 Pu 0.333 0.667 0.165
Pu2 Pu 0.667 0.333 0.835
O1 O 0.000 0.500 0.000
O2 O 0.171 0.342 0.329
O3 O 0.171 0.829 0.329
O4 O 0.342 0.171 0.671
O5 O 0.500 0.000 0.000
O6 O 0.500 0.500 0.000
O7 O 0.658 0.829 0.329
O8 O 0.829 0.171 0.671
O9 O 0.829 0.658 0.671
```

***

(3)
First-principles (PBE) data for BaTbPuO6 after structural relaxation, as listed in Alexandria.

E_form (uncorrected) = -2867 meV/atom
Uncorrected energy = -8.49 eV per atom
SG = P-31c

Geometry as CIF:
```
data_BaTbPuO6
_symmetry_space_group_name_H-M 'P 1'
_symmetry_Int_Tables_number 1
_cell_length_a 5.863
_cell_length_b 5.863
_cell_length_c 11.037
_cell_angle_alpha 90.00
_cell_angle_beta 90.00
_cell_angle_gamma 120.00
loop_
_symmetry_equiv_pos_as_xyz
'x,y,z'
loop_
_atom_site_label
_atom_site_type_symbol
_atom_site_fract_x
_atom_site_fract_y
_atom_site_fract_z
Ba1 Ba 0.000 0.000 0.000
Ba2 Ba 0.000 0.000 0.500
Tb1 Tb 0.333 0.667 0.250
Tb2 Tb 0.667 0.333 0.750
Pu1 Pu 0.333 0.667 0.750
Pu2 Pu 0.667 0.333 0.250
O1 O 0.034 0.391 0.650
O2 O 0.034 0.642 0.850
O3 O 0.358 0.391 0.850
O4 O 0.358 0.966 0.650
O5 O 0.391 0.034 0.150
O6 O 0.391 0.358 0.350
O7 O 0.609 0.642 0.650
O8 O 0.609 0.966 0.850
O9 O 0.642 0.034 0.350
O10 O 0.642 0.609 0.150
O11 O 0.966 0.358 0.150
O12 O 0.966 0.609 0.350
```

***

(4)
First-principles (PBE) data for Ba4TbPu3O12 after structural relaxation, as listed in Alexandria.

E_form (uncorrected) = -3008 meV/atom
Uncorrected energy = -8.75 eV per atom
SG = Im-3m

Geometry as CIF:
```
data_Ba4TbPu3O12
_symmetry_space_group_name_H-M 'P 1'
_symmetry_Int_Tables_number 1
_cell_length_a 7.625
_cell_length_b 7.625
_cell_length_c 7.625
_cell_angle_alpha 109.47
_cell_angle_beta 109.47
_cell_angle_gamma 109.47
loop_
_symmetry_equiv_pos_as_xyz